Wednesday 17 May 2006

Everyone's got a story...

Since news broke of my wisdom teeth extraction, everyone has told me their stories. Whether they were bad or good, someone else's story or their own, I seem to have heard it!

This has extended from my manager and her manager, my colleagues and future colleagues. This has even extended to the nurse at the theatre yesterday morning and to the man whom I have been conversing with on email to book our cottage next weekend (another story to come). Apparently his son has recently undergone the surgery and because of that, he's happy for us to give him the money when we get there! *laugh*

I guess my point is that when you tell people about your woes, they cut you some slack and often, it brings out the nicest in people! I'm not complaining and I guess I could milk it for all it's worth, but what if I wasn't suffering from wisdom teeth separation anxiety and I was lying? People are so trusting when you share a mutual thing in common, I guess that's how you describe it?

Anyway, so we've booked a cottage next weekend out in Cockatoo, just outside of Melbourne in the Dandenong Ranges. We've decided that even though we're staying with a friend whilst the floorboards in our house are being sanded, we'll take the weekend to relax and get away. This also means boarding the animals etc. No mean feat and not a small cost! I'm just looking forward to getting away with Glen - as we haven't had a 'holiday' together for over a year, I think? Hrm. So much has happened.

In other news, Glen's family sent me some money today for my birthday. What was a bit shocking was they sent it through the post. Now, the gesture itself wasn't shocking, but the mere fact that the national mail/postage authority isn't known for its ability to leave mail untouched if money is in it! Its employees aren't known for their honesty - well, that's my experience! I'd be curious to hear about others' experience in this area.

Tonight, my gums and mouth are swollen and I'm revelling in it. NOT!

I had scrambled eggs tonight, with some ham. It was tasty, but took me so long to get through it. It sucks when you can't chew things! So, I was basically tasting it and swallowing it whole - probably not the best thing to do. Go Metamucil!! Anyway, my diet has significantly reduced since this saga and to be honest, I'm curious about whether that means I've lost some weight? I'm curious...

The nights seem to hit me hardest with my mouth. Ok, so tonight is the second night and last night, I was probably still dribbling - when I woke up this morning, I had been dribbling in my sleep! *laugh* Very attractive. Anyway, tonight I was surveying the surgeon's work and realised I had some packing in the molar beside the bottom left wisdom tooth (now removed) and I was curious as to why there was packing in the molar next to it? Plus, most of my teeth beside where the wisdom teeth were, now feel like they are encrusted with cement. It's rough and I hate it. I'm fastidious about clean, smooth teeth! I can't help myself!! Plus, i can feel the stitches poking out and there's like huge gaps between the sides of my mouth and where my molars now start. It's such a strange feeling, like there's too many teeth missing and how will I possibly be able to masticate my food with that little amount of teeth? Honestly.

Finally, today my manager spoke to me, but via email, as I cannot talk still. However, my manager has been told of my resignation and although disappointed, she said she didn't blame me for my decision. The mere fact that our initial presence in the organisation is no longer a focus, lead me to make my decision to get out. This is coupled with her ability to micro manage everything (but I didn't tell her that!). Anyway, so I have made my peace with all of that and as of 10 June, I shall be unemployed for a sum total of 3 days - it coincides with the June long weekend and then I begin my new job! Woooot!

Although very happy to be leaving, I feel sorry for my colleague who I have learnt, is being loaded up with my work, plus additional work based on new projects being developed. They aren't long term projects, but when she is hired as something more than admin, it's a bit rough when she's being asked to do all the crud admin work. Not that I am saying that there's anything wrong with admin, because that's my core role currently. But if she's being paid to do something else and has absolutely NO experience in admin, you'd think that you've asked the wrong person, right? I feel for her. What's more stunning is my manager doesn't seem to realise that my colleague is equally unhappy in her role, as I was.

Yes, I know. I've been updating more in the last two days, than I have in the last two weeks - I blame too much time on my hands and too much time to think, navel gaze and ponder! And I'm wondering where the hell this mouth pain is meant to be? So far, it's just a need to teethe and an avoiding of chewing! Irony.

I now go log off to feel sorry for myself. Hrumph!

1 comment:

Anonymous said...

i don't know about others so much, but i had next to no pain after my surgery. that might have been because i took panadeine forte for two days and basically slept the painful period away. i guess i'll never know. :)

┌──
Record 1
## La2BiBr (PBE-GGA)

Data for La2BiBr after structural relaxation.

The offset from the most stable computed form is 0 meV/atom. The calculation puts the formation energy from raw total energies at -456 kJ/mol of formula units. Its space-group type is No. 166. For the density of states at the Fermi level, the calculation gives 0.64 states/eV/atom. Its magnetic moment is 0.000 μB per atom.

Cell: 4.612 4.612 7.602 Å, 72.34 72.34 60.00°
Sites, in units of the cell vectors:
Bi (0.500, 0.500, 0.500)
Br (0.000, 0.000, 0.000)
La (0.255, 0.255, 0.235)
La (0.745, 0.745, 0.765)


Record 2
## SnPPb2N (PBE-GGA)

Data for SnPPb2N after structural relaxation.

The calculation puts the formation energy from raw total energies at 479 kJ/mol of formula units. Its space-group type is No. 123. For the density of states at the Fermi level, the calculation gives 0.48 states/eV/atom. Its magnetic moment is 0.000 μB per atom.

Cell: 5.918 3.952 5.918 Å, 90.00 90.00 90.00°
Sites, in units of the cell vectors:
Pb (0.000, 0.000, 0.500)
Pb (0.500, 0.000, 0.000)
P (0.500, 0.500, 0.500)
Sn (0.000, 0.000, 0.000)
N (0.000, 0.500, 0.000)


- Which value of magnetic moment does entry 2 give?
  0.000 μB per atom


- Number 1 is which compound?
  La2BiBr


- The lowest formation energy from raw total energies belongs to which entry?
  La2BiBr
└──

i'm totally empathic on your 'need to teethe'. after 4 days of eating liquid or semi-solid food i was craving a HUGE steak! :D

i hope you guys have an excellent time when you go away for your holiday. :)